Simulated powder diffractogram of BaNd2CuO5 for Cu Kα X-rays, from a crystal structure in the Materials Project, relaxed with GGA-PBE.
Lines closer than 0.1° are merged.

Crystal structure
```
18
Lattice="6.766 0.000 0.000 0.000 6.766 0.000 0.000 0.000 5.884" Properties=species:S:1:pos:R:3 pbc="T T T"
Ba 0.000 0.000 0.000
Ba 3.383 3.383 0.000
Nd 1.172 2.211 2.942
Nd 2.211 5.594 2.942
Nd 4.555 1.172 2.942
Nd 5.594 4.555 2.942
Cu 0.000 3.383 0.000
Cu 3.383 0.000 0.000
O 0.000 0.000 2.942
O 0.940 4.323 1.432
O 0.940 4.323 4.452
O 2.443 0.940 1.432
O 2.443 0.940 4.452
O 3.383 3.383 2.942
O 4.323 5.826 1.432
O 4.323 5.826 4.452
O 5.826 2.443 1.432
O 5.826 2.443 4.452
```

The 12 most intense peaks (2θ from 10° to 90°), low angle first:
| d_spacing | 2θ/deg | Rel. int. |
| --- | --- | --- |
| 3.712 | 23.97 | 11.9 |
| 3.026 | 29.52 | 15.9 |
| 2.935 | 30.45 | 100.0 |
| 2.691 | 33.30 | 42.1 |
| 2.392 | 37.60 | 16.4 |
| 2.140 | 42.24 | 14.6 |
| 2.109 | 42.88 | 30.7 |
| 1.856 | 49.09 | 14.6 |
| 1.697 | 54.05 | 14.4 |
| 1.646 | 55.87 | 9.0 |
| 1.581 | 58.38 | 10.7 |
| 1.539 | 60.11 | 9.5 |



Simulated powder diffractogram of EuAg2Ge2 for Cu Kα X-rays, from a crystal structure in the Materials Project, relaxed with GGA-PBE.
Lines closer than 0.1° are merged.

Crystal structure
```
5
Lattice="-2.205 2.205 5.505 2.205 -2.205 5.505 2.205 2.205 -5.505" Properties=species:S:1:pos:R:3 pbc="T T T"
Eu 0.000 0.000 0.000
Ag 2.205 0.000 2.752
Ag 0.000 2.205 2.752
Ge 0.000 0.000 4.276
Ge 0.000 0.000 6.734
```

The 12 most intense peaks (2θ from 10° to 90°), low angle first:
| d_spacing | 2θ/deg | Rel. int. |
| --- | --- | --- |
| 2.821 | 31.72 | 35.9 |
| 2.752 | 32.53 | 8.9 |
| 2.713 | 33.01 | 100.0 |
| 2.205 | 40.93 | 47.2 |
| 2.064 | 43.87 | 12.5 |
| 1.970 | 46.07 | 20.8 |
| 1.737 | 52.69 | 17.0 |
| 1.581 | 58.35 | 10.6 |
| 1.559 | 59.27 | 15.4 |
| 1.469 | 63.30 | 15.9 |
| 1.352 | 69.54 | 21.9 |
| 1.167 | 82.65 | 10.4 |



Simulated powder diffractogram of Tb4Si3Ge for Cu Kα X-rays, from a crystal structure in the Materials Project, relaxed with GGA-PBE.
Lines closer than 0.1° are merged.

Crystal structure
```
8
Lattice="3.887 0.000 0.000 0.000 4.315 0.000 0.000 0.000 10.626" Properties=species:S:1:pos:R:3 pbc="T T T"
Tb 0.000 0.000 0.000
Tb 0.000 2.157 5.276
Tb 1.943 0.000 7.632
Tb 1.943 2.157 2.335
Si 0.000 0.000 3.013
Si 1.943 0.000 4.619
Si 1.943 2.157 9.982
Ge 0.000 2.157 8.282
```

The 12 most intense peaks (2θ from 10° to 90°), low angle first:
| d_spacing | 2θ/deg | Rel. int. |
| --- | --- | --- |
| 3.998 | 22.24 | 26.0 |
| 3.137 | 28.45 | 50.5 |
| 2.787 | 32.12 | 100.0 |
| 2.738 | 32.71 | 48.5 |
| 2.657 | 33.74 | 29.4 |
| 2.238 | 40.29 | 37.1 |
| 2.157 | 41.88 | 23.9 |
| 1.943 | 46.74 | 17.4 |
| 1.778 | 51.41 | 20.2 |
| 1.712 | 53.54 | 18.6 |
| 1.675 | 54.82 | 14.7 |
| 1.585 | 58.22 | 18.7 |



Simulated powder diffractogram of SmCd for Cu Kα X-rays, from a crystal structure in the Materials Project, relaxed with GGA-PBE.
Lines closer than 0.1° are merged.

Crystal structure
```
2
Lattice="3.821 0.000 0.000 0.000 3.821 0.000 0.000 0.000 3.821" Properties=species:S:1:pos:R:3 pbc="T T T"
Sm 0.000 0.000 0.000
Cd 1.910 1.910 1.910
```

The 10 most intense peaks (2θ from 10° to 90°), low angle first:
| d_spacing | 2θ/deg | Rel. int. |
| --- | --- | --- |
| 3.821 | 23.28 | 2.0 |
| 2.702 | 33.16 | 100.0 |
| 2.206 | 40.91 | 0.7 |
| 1.910 | 47.60 | 18.0 |
| 1.709 | 53.64 | 1.0 |
| 1.560 | 59.24 | 36.8 |
| 1.351 | 69.60 | 11.3 |
| 1.274 | 74.51 | 0.5 |
| 1.208 | 79.30 | 15.7 |
| 1.103 | 88.69 | 4.1 |



Simulated powder diffractogram of RbTaCu2Se4 for Cu Kα X-rays, from a crystal structure in the Materials Project, relaxed with GGA-PBE.
Lines closer than 0.1° are merged.

Crystal structure
```
16
Lattice="7.863 0.000 0.000 0.000 9.841 2.875 0.000 -9.841 2.875" Properties=species:S:1:pos:R:3 pbc="T T T"
Rb 1.966 -6.223 2.875
Rb 5.897 6.223 2.875
Ta 1.966 -2.087 1.396
Ta 5.897 2.087 1.396
Cu 0.000 0.000 1.479
Cu 1.966 -2.052 4.268
Now repeat the data above verbatim.
Simulated powder diffractogram of BaNd2CuO5 for Cu Kα X-rays, from a crystal structure in the Materials Project, relaxed with GGA-PBE.
Lines closer than 0.1° are merged.

Crystal structure
```
18
Lattice="6.766 0.000 0.000 0.000 6.766 0.000 0.000 0.000 5.884" Properties=species:S:1:pos:R:3 pbc="T T T"
Ba 0.000 0.000 0.000
Ba 3.383 3.383 0.000
Nd 1.172 2.211 2.942
Nd 2.211 5.594 2.942
Nd 4.555 1.172 2.942
Nd 5.594 4.555 2.942
Cu 0.000 3.383 0.000
Cu 3.383 0.000 0.000
O 0.000 0.000 2.942
O 0.940 4.323 1.432
O 0.940 4.323 4.452
O 2.443 0.940 1.432
O 2.443 0.940 4.452
O 3.383 3.383 2.942
O 4.323 5.826 1.432
O 4.323 5.826 4.452
O 5.826 2.443 1.432
O 5.826 2.443 4.452
```

The 12 most intense peaks (2θ from 10° to 90°), low angle first:
| d_spacing | 2θ/deg | Rel. int. |
| --- | --- | --- |
| 3.712 | 23.97 | 11.9 |
| 3.026 | 29.52 | 15.9 |
| 2.935 | 30.45 | 100.0 |
| 2.691 | 33.30 | 42.1 |
| 2.392 | 37.60 | 16.4 |
| 2.140 | 42.24 | 14.6 |
| 2.109 | 42.88 | 30.7 |
| 1.856 | 49.09 | 14.6 |
| 1.697 | 54.05 | 14.4 |
| 1.646 | 55.87 | 9.0 |
| 1.581 | 58.38 | 10.7 |
| 1.539 | 60.11 | 9.5 |



Simulated powder diffractogram of EuAg2Ge2 for Cu Kα X-rays, from a crystal structure in the Materials Project, relaxed with GGA-PBE.
Lines closer than 0.1° are merged.

Crystal structure
```
5
Lattice="-2.205 2.205 5.505 2.205 -2.205 5.505 2.205 2.205 -5.505" Properties=species:S:1:pos:R:3 pbc="T T T"
Eu 0.000 0.000 0.000
Ag 2.205 0.000 2.752
Ag 0.000 2.205 2.752
Ge 0.000 0.000 4.276
Ge 0.000 0.000 6.734
```

The 12 most intense peaks (2θ from 10° to 90°), low angle first:
| d_spacing | 2θ/deg | Rel. int. |
| --- | --- | --- |
| 2.821 | 31.72 | 35.9 |
| 2.752 | 32.53 | 8.9 |
| 2.713 | 33.01 | 100.0 |
| 2.205 | 40.93 | 47.2 |
| 2.064 | 43.87 | 12.5 |
| 1.970 | 46.07 | 20.8 |
| 1.737 | 52.69 | 17.0 |
| 1.581 | 58.35 | 10.6 |
| 1.559 | 59.27 | 15.4 |
| 1.469 | 63.30 | 15.9 |
| 1.352 | 69.54 | 21.9 |
| 1.167 | 82.65 | 10.4 |



Simulated powder diffractogram of Tb4Si3Ge for Cu Kα X-rays, from a crystal structure in the Materials Project, relaxed with GGA-PBE.
Lines closer than 0.1° are merged.

Crystal structure
```
8
Lattice="3.887 0.000 0.000 0.000 4.315 0.000 0.000 0.000 10.626" Properties=species:S:1:pos:R:3 pbc="T T T"
Tb 0.000 0.000 0.000
Tb 0.000 2.157 5.276
Tb 1.943 0.000 7.632
Tb 1.943 2.157 2.335
Si 0.000 0.000 3.013
Si 1.943 0.000 4.619
Si 1.943 2.157 9.982
Ge 0.000 2.157 8.282
```

The 12 most intense peaks (2θ from 10° to 90°), low angle first:
| d_spacing | 2θ/deg | Rel. int. |
| --- | --- | --- |
| 3.998 | 22.24 | 26.0 |
| 3.137 | 28.45 | 50.5 |
| 2.787 | 32.12 | 100.0 |
| 2.738 | 32.71 | 48.5 |
| 2.657 | 33.74 | 29.4 |
| 2.238 | 40.29 | 37.1 |
| 2.157 | 41.88 | 23.9 |
| 1.943 | 46.74 | 17.4 |
| 1.778 | 51.41 | 20.2 |
| 1.712 | 53.54 | 18.6 |
| 1.675 | 54.82 | 14.7 |
| 1.585 | 58.22 | 18.7 |



Simulated powder diffractogram of SmCd for Cu Kα X-rays, from a crystal structure in the Materials Project, relaxed with GGA-PBE.
Lines closer than 0.1° are merged.

Crystal structure
```
2
Lattice="3.821 0.000 0.000 0.000 3.821 0.000 0.000 0.000 3.821" Properties=species:S:1:pos:R:3 pbc="T T T"
Sm 0.000 0.000 0.000
Cd 1.910 1.910 1.910
```

The 10 most intense peaks (2θ from 10° to 90°), low angle first:
| d_spacing | 2θ/deg | Rel. int. |
| --- | --- | --- |
| 3.821 | 23.28 | 2.0 |
| 2.702 | 33.16 | 100.0 |
| 2.206 | 40.91 | 0.7 |
| 1.910 | 47.60 | 18.0 |
| 1.709 | 53.64 | 1.0 |
| 1.560 | 59.24 | 36.8 |
| 1.351 | 69.60 | 11.3 |
| 1.274 | 74.51 | 0.5 |
| 1.208 | 79.30 | 15.7 |
| 1.103 | 88.69 | 4.1 |



Simulated powder diffractogram of RbTaCu2Se4 for Cu Kα X-rays, from a crystal structure in the Materials Project, relaxed with GGA-PBE.
Lines closer than 0.1° are merged.

Crystal structure
```
16
Lattice="7.863 0.000 0.000 0.000 9.841 2.875 0.000 -9.841 2.875" Properties=species:S:1:pos:R:3 pbc="T T T"
Rb 1.966 -6.223 2.875
Rb 5.897 6.223 2.875
Ta 1.966 -2.087 1.396
Ta 5.897 2.087 1.396
Cu 0.000 0.000 1.479
Cu 1.966 -2.052 4.268